Data
********
DFT (ωB97M-V with the def2-TZVPD basis set) results for a cluster of 10 separate species, C69H162N10O17 in total at a distorted geometry.

Structure (XYZ):
```
258
Properties=species:S:1:pos:R:3:lowdin_charge:R:1
O 12.922 3.955 4.362 -0.182
O 11.407 6.298 7.897 -0.198
O -9.811 6.060 2.495 -0.180
O 3.344 1.147 2.840 -0.216
O -4.500 -9.795 -19.069 -0.193
O -0.290 -1.520 15.085 -0.190
O 4.263 9.360 2.920 -0.227
O -9.339 -7.852 -0.981 -0.008
O -8.911 0.132 -14.234 -0.216
O -9.978 2.724 -10.701 -0.217
O 0.827 2.092 11.647 -0.193
O -5.023 -7.619 -12.932 -0.191
O -5.558 7.279 5.955 -0.197
O 1.440 -6.304 7.760 -0.011
O 6.802 14.100 2.527 -0.181
O -1.320 0.914 -1.612 -0.222
O 10.778 0.364 -1.998 -0.011
N -9.947 2.828 -13.749 -0.039
N 11.961 6.656 5.034 -0.055
N -9.421 -6.497 -0.564 -0.132
N 9.587 -0.227 -2.266 -0.142
N -4.801 -10.372 -15.421 -0.079
N 0.677 -1.066 12.072 -0.045
N 0.084 0.655 1.027 -0.062
N -8.356 5.823 4.806 -0.057
N 2.276 -6.146 6.688 -0.128
N 4.465 12.091 1.480 -0.050
C -4.767 -10.397 -20.318 -0.116
C 3.633 -6.737 6.886 -0.439
C 0.527 0.043 -0.254 -0.215
C -4.384 -9.532 -14.258 -0.167
C 6.573 13.100 3.545 -0.084
C -11.001 3.322 -11.472 -0.219
C -5.711 -6.369 -12.840 -0.096
C -5.279 -8.288 -14.126 -0.258
C 7.369 -1.638 -3.638 -0.178
C -8.877 -6.097 0.762 -0.484
C 13.736 5.133 4.144 -0.180
C -0.685 -2.034 16.361 -0.107
C -8.889 -0.850 -15.278 -0.102
C -9.323 -4.650 1.141 -0.138
C -8.137 -5.510 -2.418 -0.025
C 3.545 -8.308 7.321 -0.014
C -9.892 -4.110 -1.212 -0.122
C -9.538 -5.568 -1.687 -0.474
C 9.642 -1.687 -2.404 -0.506
C 8.760 0.575 -3.253 -0.457
C 13.477 2.927 5.045 -0.173
C 8.237 -2.308 -2.570 -0.146
C -0.069 1.153 10.966 -0.186
C -0.654 -2.285 13.929 -0.216
C -9.513 -6.989 1.855 -0.042
C 12.874 6.374 3.923 -0.192
C 2.252 0.390 2.244 -0.192
C -0.633 -0.319 -1.145 -0.207
C -6.362 6.191 6.370 -0.233
C -0.668 -1.427 12.667 -0.182
C -2.673 0.763 -2.167 -0.078
C 11.579 7.576 7.243 -0.201
C 2.510 -6.488 4.203 -0.154
C 8.504 1.922 -2.550 -0.059
C -8.449 5.763 2.361 -0.238
C 10.556 -2.133 -3.576 -0.018
C 4.504 -6.599 5.660 -0.161
C 4.395 10.716 0.887 -0.209
C 5.506 8.635 2.825 -0.080
C 1.833 2.474 10.698 -0.104
C -7.735 6.273 3.572 -0.230
C 0.870 -7.939 5.459 -0.017
C 0.491 -0.327 10.847 -0.236
C 9.456 0.914 -4.582 -0.033
C 4.328 0.230 3.380 -0.094
C 3.586 9.706 1.722 -0.213
C 0.479 -5.478 5.153 -0.061
C -8.678 2.285 -13.378 -0.251
C -4.805 -10.616 -17.939 -0.192
C 10.141 -2.258 -1.093 -0.058
C -8.100 1.314 -14.386 -0.201
C 1.202 1.417 1.650 -0.180
C -9.085 -3.596 0.036 -0.173
C 12.527 5.733 8.591 -0.097
C -10.715 -5.978 -2.648 -0.030
C -7.354 -6.199 0.693 -0.031
C -4.216 7.111 6.413 -0.112
C 5.754 14.206 1.625 -0.248
C -4.587 -9.701 -16.679 -0.235
C 1.526 -6.511 5.416 -0.464
C 4.305 -5.894 8.045 -0.036
C 7.367 -0.124 -3.370 -0.129
C -10.383 2.291 -9.425 -0.113
C 3.843 -7.141 4.401 -0.207
C 12.553 7.515 6.047 -0.226
C -7.845 6.378 6.088 -0.182
C 5.365 12.980 0.747 -0.198
C -10.414 3.877 -12.784 -0.168
C -10.645 5.625 1.503 -0.135
H 10.522 1.028 -4.385 0.085
H -7.988 3.128 -13.432 0.120
H -5.843 -10.572 -20.346 0.082
H 6.282 12.525 0.372 0.114
H 5.530 13.067 3.861 0.081
H -6.957 -6.991 0.058 0.085
H -3.736 6.354 5.792 0.082
H 1.018 0.828 -0.829 0.115
H 5.473 7.824 2.097 0.089
H 11.471 5.860 5.416 0.109
H -0.219 -3.011 16.490 0.085
H -9.676 4.662 -12.614 0.118
H 12.615 8.577 5.806 0.116
H 11.170 -1.935 -0.936 0.077
H -11.258 4.384 -13.252 0.105
H -6.240 6.122 7.450 0.116
H 4.216 -4.810 7.974 0.081
H 7.865 -1.813 -4.592 0.098
H -0.969 1.156 11.582 0.103
H 0.970 -0.238 12.570 0.091
H 6.370 -2.063 -3.730 0.111
H 2.723 -5.460 3.912 0.116
H -1.686 -2.635 13.952 0.111
H -3.569 -9.314 -16.631 0.117
H 1.436 -5.436 8.171 0.111
H -4.539 -9.784 -21.191 0.085
H -10.608 2.069 -13.657 0.100
H -4.128 6.779 7.447 0.080
H 2.563 -8.635 7.662 0.067
H 9.379 2.571 -2.538 0.077
H -1.196 -1.999 11.903 0.112
H 1.662 -8.662 5.653 0.053
H -7.974 -1.441 -15.305 0.074
H 8.385 1.817 -1.471 0.081
H -5.570 -5.781 -13.746 0.082
H -0.505 1.447 10.011 0.113
********

Activity
It remains to search the data above for the word "the" and write out each line that has it.

Completed
DFT (ωB97M-V with the def2-TZVPD basis set) results for a cluster of 10 separate species, C69H162N10O17 in total at a distorted geometry.